When There’s a Failure to Communicate: Choose Love

**Here the piece breaks off for materials data:**
+++
Record 1
# MgAs4P4O16 (GGA-PBE, optimized geometry)
data_MgAs4P4O16
_cell_length_a 5.081
_cell_length_b 8.404
_cell_length_c 9.003
_cell_angle_alpha 96.57
_cell_angle_beta 90.00
_cell_angle_gamma 90.00
_symmetry_space_group_name_H-M 'P 1'
_symmetry_Int_Tables_number 1
loop_
_symmetry_equiv_pos_as_xyz
'x,y,z'
loop_
_atom_site_label
_atom_site_fract_x
_atom_site_fract_y
_atom_site_fract_z
Mg1 0.250 0.891 0.061
As1 0.250 0.657 0.687
As2 0.750 0.325 0.261
As3 0.750 0.178 0.780
As4 0.250 0.675 0.257
P1 0.250 0.305 0.612
P2 0.750 0.683 0.415
P3 0.750 0.836 0.863
P4 0.250 0.202 0.099
O1 0.250 0.364 0.462
O2 0.750 0.619 0.566
O3 0.750 0.915 0.022
O4 0.250 0.105 0.943
O5 0.250 0.453 0.744
O6 0.750 0.544 0.276
O7 0.750 0.956 0.739
O8 0.250 0.087 0.217
O9 0.004 0.319 0.113
O10 0.493 0.731 0.844
O11 0.994 0.788 0.386
O12 0.496 0.198 0.638
O13 0.007 0.731 0.844
O14 0.496 0.319 0.113
O15 0.004 0.198 0.638
O16 0.506 0.788 0.386
# Polymorph energy (0 for the lowest one): 0 meV/atom
# ΔH_f (0 K): -2.145 eV per atom
# Crystal system: monoclinic
# Magnetization: 0.00 μB/cell

---

Record 2
# Nd9Ga4 (GGA-PBE, optimized geometry)
data_Nd9Ga4
_cell_length_a 8.916
_cell_length_b 8.916
_cell_length_c 8.916
_cell_angle_alpha 94.89
_cell_angle_beta 94.89
_cell_angle_gamma 146.06
_symmetry_space_group_name_H-M 'P 1'
_symmetry_Int_Tables_number 1
loop_
_symmetry_equiv_pos_as_xyz
'x,y,z'
loop_
_atom_site_label
_atom_site_fract_x
_atom_site_fract_y
_atom_site_fract_z
Nd1 0.904 0.374 0.278
Nd2 0.096 0.626 0.722
Nd3 0.374 0.096 0.470
Nd4 0.626 0.904 0.530
Nd5 0.000 0.000 0.000
Nd6 0.611 0.316 0.927
Nd7 0.389 0.684 0.073
Nd8 0.316 0.389 0.705
Nd9 0.684 0.611 0.295
Ga1 0.767 0.113 0.881
Ga2 0.233 0.887 0.119
Ga3 0.113 0.233 0.346
Ga4 0.887 0.767 0.654
# ΔH_f (0 K): -0.366 eV per atom
# Crystal system: tetragonal

---

Record 3
# Lu7Te2Pd2 (GGA-PBE, optimized geometry)
data_Lu7Te2Pd2
_cell_length_a 9.237
_cell_length_b 9.237
_cell_length_c 9.237
_cell_angle_alpha 155.66
_cell_angle_beta 118.06
_cell_angle_gamma 67.58
_symmetry_space_group_name_H-M 'P 1'
_symmetry_Int_Tables_number 1
loop_
_symmetry_equiv_pos_as_xyz
'x,y,z'
loop_
_atom_site_label
_atom_site_fract_x
_atom_site_fract_y
_atom_site_fract_z
Lu1 0.810 0.183 0.627
Lu2 0.444 0.817 0.627
Lu3 0.500 0.500 0.000
Lu4 0.048 0.631 0.417
Lu5 0.786 0.369 0.417
Lu6 0.124 0.856 0.268
Lu7 0.412 0.144 0.268
Te1 0.161 0.500 0.661
Te2 0.767 0.000 0.767
Pd1 0.668 0.736 0.931
Pd2 0.195 0.264 0.931
# ΔH_f (0 K): -0.832 eV per atom
# Crystal system: orthorhombic

---

Record 4
# CsCoCuS2 (GGA-PBE, optimized geometry)
data_CsCoCuS2
_cell_length_a 7.577
_cell_length_b 7.577
_cell_length_c 7.577
_cell_angle_alpha 149.79
_cell_angle_beta 149.79
_cell_angle_gamma 43.25
_symmetry_space_group_name_H-M 'P 1'
_symmetry_Int_Tables_number 1
loop_
_symmetry_equiv_pos_as_xyz
'x,y,z'
loop_
_atom_site_label
_atom_site_fract_x
_atom_site_fract_y
_atom_site_fract_z
Cs1 0.000 0.000 0.000
Co1 0.750 0.250 0.500
Cu1 0.250 0.750 0.500
S1 0.661 0.661 0.000
+++

When There’s a Failure to Communicate: Choose Love

# What comes next are data records, not part of the text
The following is a DFT calculation (PBE) of crystalline La5Tl3 at its relaxed geometry.

## Properties
For the calculated volume, the calculation gives 33.13 Å³ per atom. As for the space group: I4/mcm (140). Its energy of formation from the pure elements is -350 meV/atom.

Geometry as POSCAR:
```
La5Tl3
1.0
-6.439 6.439 3.196
6.439 -6.439 3.196
6.439 6.439 -3.196
La Tl
10 6
direct
0.083 0.779 0.861 La
0.221 0.083 0.304 La
0.250 0.750 0.500 La
0.279 0.583 0.861 La
0.417 0.279 0.696 La
0.583 0.721 0.304 La
0.721 0.417 0.139 La
0.750 0.250 0.500 La
0.779 0.917 0.696 La
0.917 0.221 0.139 La
0.163 0.337 0.500 Tl
0.250 0.250 0.000 Tl
0.337 0.837 0.173 Tl
0.663 0.163 0.827 Tl
0.750 0.750 0.000 Tl
0.837 0.663 0.500 Tl
```

***

The following is a DFT calculation (PBE) of crystalline La3Tl at its relaxed geometry.

## Properties
For the calculated volume, the calculation gives 32.78 Å³ per atom. As for the space group: Pm-3m (221). The excess energy over the best structure of this formula in the dataset comes out at 0.000 eV/atom. Its energy of formation from the pure elements is -240 meV/atom.

Geometry as POSCAR:
```
La3Tl
1.0
5.080 0.000 0.000
0.000 5.080 0.000
0.000 0.000 5.080
La Tl
3 1
direct
0.000 0.000 0.500 La
0.000 0.500 0.000 La
0.500 0.000 0.000 La
0.500 0.500 0.500 Tl
```

***

The following is a DFT calculation (PBE) of crystalline La3Tl5 at its relaxed geometry.

## Properties
For the calculated volume, the calculation gives 30.82 Å³ per atom. As for the space group: Cmcm (63). Its energy of formation from the pure elements is -416 meV/atom.

Geometry as POSCAR:
```
La3Tl5
1.0
5.412 -4.312 0.000
5.412 4.312 0.000
0.000 0.000 10.564
La Tl
6 10
direct
0.136 0.864 0.750 La
0.298 0.298 0.000 La
0.298 0.298 0.500 La
0.702 0.702 0.000 La
0.702 0.702 0.500 La
0.864 0.136 0.250 La
0.006 0.438 0.750 Tl
0.195 0.805 0.055 Tl
0.195 0.805 0.445 Tl
0.438 0.006 0.250 Tl
0.495 0.505 0.250 Tl
0.505 0.495 0.750 Tl
0.562 0.994 0.750 Tl
0.805 0.195 0.555 Tl
0.805 0.195 0.945 Tl
0.994 0.562 0.250 Tl
```

***

The following is a DFT calculation (PBE) of crystalline LaTl at its relaxed geometry.

## Properties
For the calculated volume, the calculation gives 31.86 Å³ per atom. As for the space group: Pm-3m (221). Its energy of formation from the pure elements is -422 meV/atom.

Geometry as POSCAR:
```
LaTl
1.0
3.994 0.000 0.000
0.000 3.994 0.000
0.000 0.000 3.994
La Tl
1 1
direct
0.000 0.000 0.000 La
0.500 0.500 0.500 Tl
```

***

- Among the records above, which one has the lowest calculated volume?
  La3Tl5

~~~~~

(1)
Compound: Pu2IO10
Source: Materials Project
Functional: PBE-GGA
Structure: relaxed Values from VASP.

Properties
**Energy relative to the elements**: -2036 meV/atom
**Density**: 5.9 g cm⁻³
**Energy with MP2020 corrections**: -8.154 eV per atom
**Space group**: P2_1/c (14)
**Calculated total energy**: -396.54 eV per cell
**Crystal system**: monoclinic

The structure in Quantum ESPRESSO input format:
```
&SYSTEM
  ibrav = 0, nat = 52, ntyp = 3
/

We appear to be taking sides on everything.

  • Immigration
  • Gun control
  • The economy
  • Our schools
  • Workplace and family issues

Even Nike commercials.

These materials data were left in the piece by mistake.
<<<
Material: Li6MnV3P6O24
Method: DFT, PBE with a Hubbard U
State: relaxed

```
data_Li6MnV3P6O24
_chemical_formula_sum 'Li12 Mn2 V6 P12 O48'
_cell_length_a 9.823
_cell_length_b 9.844
_cell_length_c 9.893
_cell_angle_alpha 87.39
_cell_angle_beta 86.96
_cell_angle_gamma 87.24
_space_group_name_H-M_alt 'P 1'
_space_group_IT_number 1
_space_group_name_Hall 'P 1'
loop_
_atom_site_label
_atom_site_type_symbol
_atom_site_fract_x
_atom_site_fract_y
_atom_site_fract_z
_atom_site_occupancy
Li1 Li 0.000 0.000 0.000 1
Li2 Li 0.042 0.321 0.306 1
Li3 Li 0.123 0.803 0.229 1
Li4 Li 0.272 0.899 0.946 1
Li5 Li 0.322 0.587 0.107 1
Li6 Li 0.403 0.921 0.695 1
Li7 Li 0.496 0.403 0.608 1
Li8 Li 0.544 0.703 0.914 1
Li9 Li 0.636 0.621 0.394 1
Li10 Li 0.713 0.211 0.722 1
Li11 Li 0.765 0.368 0.414 1
Li12 Li 0.913 0.086 0.505 1
Mn1 Mn 0.241 0.606 0.493 1
Mn2 Mn 0.521 0.323 0.992 1
V1 V 0.020 0.381 0.933 1
V2 V 0.022 0.598 0.713 1
V3 V 0.302 0.109 0.438 1
V4 V 0.519 0.102 0.213 1
V5 V 0.738 0.876 0.204 1
V6 V 0.804 0.815 0.710 1
P1 P 0.098 0.305 0.611 1
P2 P 0.122 0.899 0.636 1
P3 P 0.222 0.178 0.117 1
P4 P 0.324 0.521 0.820 1
P5 P 0.414 0.805 0.294 1
P6 P 0.443 0.405 0.320 1
P7 P 0.596 0.993 0.912 1
P8 P 0.625 0.020 0.508 1
P9 P 0.717 0.498 0.791 1
P10 P 0.817 0.199 0.136 1
P11 P 0.915 0.674 0.412 1
P12 P 0.945 0.704 0.008 1
O1 O 0.050 0.800 0.053 1
O2 O 0.067 0.277 0.763 1
O3 O 0.068 0.659 0.370 1
O4 O 0.104 0.467 0.581 1
O5 O 0.149 0.737 0.624 1
O6 O 0.151 0.315 0.072 1
O7 O 0.163 0.513 0.839 1
O8 O 0.169 0.968 0.500 1
O9 O 0.176 0.054 0.050 1
O10 O 0.193 0.171 0.275 1
O11 O 0.204 0.934 0.754 1
O12 O 0.243 0.245 0.570 1
O13 O 0.302 0.468 0.371 1
O14 O 0.322 0.760 0.185 1
O15 O 0.363 0.544 0.668 1
O16 O 0.365 0.630 0.913 1
O17 O 0.376 0.739 0.436 1
O18 O 0.383 0.186 0.085 1
O19 O 0.390 0.378 0.862 1
O20 O 0.390 0.965 0.299 1
O21 O 0.440 0.244 0.343 1
O22 O 0.458 0.445 0.169 1
O23 O 0.469 0.046 0.544 1
O24 O 0.479 0.908 0.871 1
O25 O 0.557 0.446 0.409 1
O26 O 0.569 0.767 0.267 1
O27 O 0.586 0.146 0.871 1
O28 O 0.597 0.971 0.073 1
O29 O 0.647 0.463 0.933 1
O30 O 0.649 0.016 0.347 1
O31 O 0.655 0.232 0.129 1
O32 O 0.665 0.880 0.573 1
O33 O 0.672 0.406 0.683 1
O34 O 0.682 0.653 0.764 1
O35 O 0.714 0.133 0.551 1
O36 O 0.735 0.935 0.853 1
O37 O 0.800 0.742 0.069 1
O38 O 0.828 0.557 0.379 1
O39 O 0.847 0.041 0.140 1
O40 O 0.862 0.264 0.261 1
O41 O 0.864 0.813 0.348 1
O42 O 0.876 0.475 0.799 1
O43 O 0.883 0.250 0.000 1
O44 O 0.895 0.683 0.574 1
O45 O 0.944 0.730 0.847 1
O46 O 0.964 0.934 0.649 1
O47 O 0.979 0.551 0.039 1
O48 O 0.991 0.260 0.517 1
```

## Properties
E (MP2020) (eV/cell): -609.2
Distance to the lowest polymorph of the same formula (meV per atom): 49
Electronic total energy (eV/atom): -7.0333
Energy relative to the elements (eV per atom): -2.64
>>>
The piece goes on.

We’ve stopped talking with each other. And we must find a way to reverse this trend–somehow.

Because whatever side we’re on, it’s a side. We become enamored of our position and make statements that affirm our views. Social media algorithms ensure we see posts that support our bias. And our friends confirm our rightness, because we’ve stopped hanging out with those who don’t. The focus is on winning the debate, proving our point, and showing how right we are.

Gradually those with any fear of conflict grow reluctant to bring up controversial topics. Easier to just stay quiet. Unfortunately, this fear of bringing up tough topics creates space for only the loudest voices, many of whom choose platforms that keep them anonymous. And if we don’t engage, our voices go unheard.

Let’s turn the tide. Change the momentum away from the contest and toward connection and problem-solving; toward learning and seeking to understand what fears and hopes underlie the views of those who think and believe differently from–and may even oppose–us.

Always Choose Love

A new friend and colleague who lives in the Chicago area–James Warda–posted a story on July 4 about this question of taking sides, called Happy Dependence Day. James believes the choice to take a stand and advocate for only one point of view instead of supporting one another other by connecting with curiosity on difficult issues is a cause of crisis in our country.

James suggests that we choose love over fear. When we do, we learn something important. We learn we’re connected–in more ways than we know. And we start to look for ways to solve these seemingly unsolvable problems and add meaning to our lives. The problems are only unsolvable if we stop talking.

Another valued colleague, Tony Richard, puts it this way: “Always choose love.” He signs every email with that thought, and–more importantly–he walks the path.

In my view, there are more ways to show love than we might imagine. One example: the next time you find yourself about to argue for a cause, imagine instead that you’re standing side by side with your conflict partner. Look out from the eyes, feelings, hopes and fears of the person who thinks, behaves, or believes differently. Be curious. Wonder. Ponder. Just for a ki moment. And ask what it might be like to see things from another vantage point.

The remedy is simple, although I admit it takes practice.